For a number of reasons many contra dancers do not like English Country Dances (ECD). The most common complaint is that ECD is too slow, too stately, and too often some dancers stand around while other dancers get to do all the moves. The complaint against ECD echoes the complaint against "proper" contras: they are not aerobic enough. There is too much standing around & waiting.There are other reasons why contra dancers do not like English Country Dances. The Swing is the most popular move in Contra dancing and, with the rare exception of one or two dances, there are no swings in English Country Dances. Some English Country Dances are very complex and take a long time to teach. Contra dancers want a minimum of teaching, a maximum of dancing. For some Contra dancers, English Country Dances remind them of pompous nobility, a class system -- all that America is not. I have met dancers who say they can't stand the feelings ECD engenders in them.
Personally, I love the very different feel of English Country Dances. I, too, do not like the more complex English Country Dances. I like the simple flowing dances that do not take too long to teach. In some English Country Dance workshops, I have encountered the contra dancer's ultimate nightmare: 45 minutes of teaching, six minutes of dancing. But there is a beauty in English Country dances that is simply radically different from the beauty found in Contras. In addition, the music is sublime, and it is music that you will miss hearing if all you do is Contra dances.
One final word which is aimed primarily at American dancers. When we think of English Country Dances we are really thinking of one "sub-set" of such dances: Playford Dances, or dances that were popular hundreds of years ago. We think English Country Dance is a "dead" form, an ancient, irrelevant, stagnant form that was done in drawing rooms by genteel nobility and is simply being aped/revived in our time.
We know (or should know) that on any given night, nine out ten of the Contras we dance were written within the last twenty years. If you dance English Country Dances today in England, perhaps eight out ten of the dances were written within the last twenty or thirty years. English Country Dances are a living dance form in England. In England, Contras are merely one kind of English Country Dance. It is only in America that Contras are seen as a totally different kind of dance, one that is not anything like English Country Dances. As I explain in another essay, contras are simply one kind of English Country Dance.
What follows is a list of differences between Contras & English Country Dances, and the differences are listed so that you will know what to expect & hopefully you will not be put off by a beautiful, but different-from-Contras, dance form.
1) As I mentioned above, there are no swings in ECD. A swing is an intimate, prolonged, one-on-one move. Few, if any, such moves occur in ECD; the two-hand-turn was the old equivalent. English Country Dances are reserved; hand contact is the best you get. However, eye contact with your partner is encouraged (especially in America): that is how intimacy is engendered.
2) In ECD, often only two people are "active" while others stand around. In part this reflects the need to give everyone "rest" time. (See my essay on proper/improper contras.)
3) Though there is much rest time, when it is your turn, you must execute the move on time because English Country Dances are "unforgiving." A "forgiving" dance allows people to catch up. For instance, in Contra dancing some forgiving moves are "down the hall four in line," and "balance & swing your partner." These are sixteen count moves, and if you're late getting to this move, you have plenty of time to catch up.
In ECD, if you're not on time, everyone else in your foursome (or six-some) is thrown off stride. There are very few forgiving moves in ECD. ECD is full of of four & eight count moves that must be executed correctly, on time. So you may stand around a lot -- but it is crucial that the "standing around" time be an alert kind of standing around -- because when it is your turn to execute the move, you must do it on time.4) Keep your head up -- Watch others. In English Country Dances there is little holding, assisting, touching. You are executing a move with one other person (Siding, Casting, Setting), but you are not touching them. You do it alone, yet you do it with someone else. So, if you are supposed to be doing something, someone else will be doing it too, looking for you to do it with them. Keep your head up, watch others.
5) Often English Country dances are in triplet formation: three couples to a set. The concept of couple number three, or of first couple in second position, baffles Contra dancers.
6) First man, first woman; Second man, second woman; (Sometimes) third man, third woman. You need to be aware of your position, because sometimes the call is to the first man & second woman. Contra dancers just need to think of "first" as "active" or first couple, and to think "inactive" or second couple. When in doubt, remember "keep your head up," watch others. If you are supposed to "do" something, someone will be doing it with you: looking at you, or holding out a hand to you.
7) First Corners & Second corners. First corners is the first man & second woman. Second corners is the first woman and second man.
There are certain moves that are very common in ECD, and absolutely uncommon in Contra dances (yet they are similar to some moves done in Contra dances).
Setting. Take three little steps (R,L,R) to your right & slightly in front of you, bringing your feet together on the last step. And then take three little steps (L,R,L) to your left & slightly in front. It is very similar to the "balance" part of "balance & swing" in Contras. Also known as "Pas de bas" in Scottish dance or ballet.
Turn Single. A four count turn over one's right shoulder, and right back to place. Clue: stick out your hand to hitch-hike, follow the direction of your thumb, so to speak, and turn over your right shoulder. Bigger clue for "Set and Turn Single": First you go right, then you go left, then you go right (the only logical place to go next) & continue over your right shoulder & back to place.
Cast Down. For a Contra Dancer, this is similar to "go down the outside of the set & below one couple," but there are slight stylistic differences. In ECD, you & your partner, who is across from you, begin by looking at each other, possibly even leaning, and then turning up and out -- like a hinged gate, and then you proceed outside the set to the next place down. In essence, you almost complete a full circle. There is often a lot of music for the cast. One should try to use all of it. If space permits, do a large, looping, cast off. Quite often the "other couple" is involved in the cast, but their role is smaller, less elaborate. They wait a couple of beats for the other couple to move out of the way. They then execute a simple four beat move: they take one step toward each other, take near hands, move two steps up (towards the band), separate & fall back into lines, exactly where the other couple used to be.
• Between two parts of the article: materials data:
........
1.
## CrReRh2 (meta-GGA SCAN)

Data for a crystal of CrReRh2 relaxed with PBEsol.

```
data_CrReRh2
_cell_length_a 2.662
_cell_length_b 4.241
_cell_length_c 4.667
_cell_angle_alpha 90.00
_cell_angle_beta 90.00
_cell_angle_gamma 90.00
_space_group_name_H-M_alt 'P m m 2'
_space_group_IT_number 25
loop_
_space_group_symop_operation_xyz
'x,y,z'
'-x,-y,z'
'-x,y,z'
'x,-y,z'
loop_
_atom_site_label
_atom_site_fract_x
_atom_site_fract_y
_atom_site_fract_z
Cr1 0.000 0.000 0.000
Re1 0.000 0.500 0.675
Rh1 0.500 0.000 0.505
Rh2 0.500 0.500 0.161
```

formation energy	-0.1498	eV/atom
DOS(E_F)	2.28	states/eV/cell
E	-157.6	eV/cell

=====

2.
## CsZr3Rh (meta-GGA SCAN)

Data for a crystal of CsZr3Rh relaxed with PBEsol.

```
data_CsZr3Rh
_cell_length_a 5.082
_cell_length_b 5.082
_cell_length_c 5.082
_cell_angle_alpha 90.00
_cell_angle_beta 90.00
_cell_angle_gamma 90.00
_space_group_name_H-M_alt 'P m -3 m'
_space_group_IT_number 221
_space_group_name_Hall '-P 4 2 3'
loop_
_atom_site_label
_atom_site_fract_x
_atom_site_fract_y
_atom_site_fract_z
Cs1 0.000 0.000 0.000
Zr1 0.000 0.000 0.500
Rh1 0.500 0.500 0.500
```

formation energy	2.2948	eV/atom
DOS(E_F)	7.64	states/eV/cell
E	-152.2	eV/cell

=====

3.
## Fe2ReNi (meta-GGA SCAN)

Data for a crystal of Fe2ReNi relaxed with PBEsol.

```
data_Fe2ReNi
_cell_length_a 8.364
_cell_length_b 2.564
_cell_length_c 4.394
_cell_angle_alpha 90.00
_cell_angle_beta 99.75
_cell_angle_gamma 90.00
_space_group_name_H-M_alt 'C 1 2/m 1'
_space_group_IT_number 12
loop_
_space_group_symop_operation_xyz
'x,y,z'
'-x,-y,-z'
'-x,y,-z'
'x,-y,z'
'x+1/2,y+1/2,z'
'-x+1/2,-y+1/2,-z'
'-x+1/2,y+1/2,-z'
'x+1/2,-y+1/2,z'
loop_
_atom_site_label
_atom_site_fract_x
_atom_site_fract_y
_atom_site_fract_z
Fe1 0.247 0.000 0.243
Re1 0.000 0.000 0.500
Ni1 0.000 0.500 0.000
```

formation energy	0.0824	eV/atom
DOS(E_F)	6.23	states/eV/cell
E	-246.4	eV/cell

=====

4.
## AlOs2Pt (meta-GGA SCAN)

Data for a crystal of AlOs2Pt relaxed with PBEsol.

```
data_AlOs2Pt
_cell_length_a 2.7578
_cell_length_b 2.7578
_cell_length_c 25.7748
_cell_angle_alpha 90.00
_cell_angle_beta 90.00
_cell_angle_gamma 120.00
_space_group_name_H-M_alt 'R 3 m'
_space_group_IT_number 160
_space_group_name_Hall 'R 3 -2"'
loop_
_atom_site_label
_atom_site_fract_x
_atom_site_fract_y
_atom_site_fract_z
Al1 0.0000 0.0000 0.0000
Os1 0.0000 0.0000 0.2510
Os2 0.0000 0.0000 0.5033
Pt1 0.0000 0.0000 0.7465
```

formation energy	-0.2435	eV/atom
DOS(E_F)	9.90	states/eV/cell
E	-668.0	eV/cell

=====

5.
## VMoW (meta-GGA SCAN)

Data for a crystal of VMoW relaxed with PBEsol.

```
data_VMoW
_cell_length_a 3.078
_cell_length_b 3.078
_cell_length_c 9.220
_cell_angle_alpha 90.00
_cell_angle_beta 90.00
_cell_angle_gamma 90.00
_space_group_name_H-M_alt 'I 4 m m'
_space_group_IT_number 107
_space_group_name_Hall 'I 4 -2'
loop_
_atom_site_label
_atom_site_fract_x
_atom_site_fract_y
_atom_site_fract_z
V1 0.000 0.000 0.000
Mo1 0.000 0.000 0.336
W1 0.000 0.000 0.666
```

formation energy	-0.1326	eV/atom
........
• The article goes on:
Some ECD moves are very well known to Contra Dancers but the terminology (the call) is different, unfamiliar:
Hands Across. Right Hand Star
Back to Back. Dosido. In ECD you do not twirl.
Reel. Hey
Four Changes of a Circular Hey. This is really a mini "Grand Chain" done in your group of four. The words are a clue: Circular hey. You are changing places with everyone in your square of four people. You are walking the four corners of your square. You will always be making the same turns (4 lefts or 4 rights). It is sometimes done with hands, extending alternating hands to members of your square, your foursome: Right hand (turn 1/4), Left hand (turn 1/4), Right hand (turn 1/4), Left hand (turn 1/4): you are back home, back to square one. It is often done without hands.
[Materials data, as found in the file]
~~~
(1)
A relaxed structure of Zr2In3Hg, computed with PBE-GGA.

Values from the calculation:
Its total energy is -4.54 eV per atom. Its calculated formation energy is -0.27 eV per atom.

Cell lengths 4.308, 4.520, 7.198 Å; angles 90.00, 107.41, 90.00 degrees
Sites, in units of the cell vectors:
Hg1 0.000 0.000 0.000
Zr1 0.840 0.500 0.681
Zr2 0.160 0.500 0.319
In1 0.326 0.000 0.652
In2 0.674 0.000 0.348
In3 0.500 0.500 0.000


(2)
A relaxed structure of ZrIn3Hg, computed with PBE-GGA.

Values from the calculation:
Its total energy is -2.87 eV per atom. Its calculated formation energy is 0.54 eV per atom. As for the distance to the lowest polymorph of the same formula: 0 meV per atom.

Cell lengths 5.713, 5.713, 5.713 Å; angles 90.00, 90.00, 90.00 degrees
Sites, in units of the cell vectors:
Hg1 0.500 0.500 0.500
In1 0.000 0.500 0.000
In2 0.500 0.000 0.000
In3 0.000 0.000 0.500
Zr1 0.000 0.000 0.000


(3)
A relaxed structure of Zr5InHg4, computed with PBE-GGA.

Values from the calculation:
Its total energy is -4.87 eV per atom. Its calculated formation energy is -0.21 eV per atom.

Cell lengths 3.191, 3.191, 21.289 Å; angles 90.00, 90.00, 90.00 degrees
Sites, in units of the cell vectors:
Zr1 0.500 0.500 0.699
Zr2 0.500 0.500 0.500
Zr3 0.500 0.500 0.101
Zr4 0.500 0.500 0.301
Zr5 0.500 0.500 0.899
Hg1 0.000 0.000 0.798
Hg2 0.000 0.000 0.202
Hg3 0.000 0.000 0.400
Hg4 0.000 0.000 0.600
In1 0.000 0.000 0.000


(4)
A relaxed structure of Zr2InHg, computed with PBE-GGA.

Values from the calculation:
Its total energy is -5.13 eV per atom. Its calculated formation energy is -0.09 eV per atom.

Cell lengths 10.419, 10.419, 10.419 Å; angles 17.70, 17.70, 17.70 degrees
Sites, in units of the cell vectors:
Zr1 0.501 0.501 0.501
Zr2 0.999 0.999 0.999
In1 0.750 0.750 0.750
Hg1 0.250 0.250 0.250


(5)
A relaxed structure of Zr2In2Hg, computed with PBE-GGA.

Values from the calculation:
Its total energy is -4.74 eV per atom. Its calculated formation energy is -0.16 eV per atom. As for the distance to the lowest polymorph of the same formula: 0 meV per atom.

Cell lengths 3.211, 3.135, 11.448 Å; angles 82.13, 90.00, 90.00 degrees
Sites, in units of the cell vectors:
Hg1 0.000 0.000 0.000
In1 0.000 0.809 0.382
In2 0.000 0.191 0.618
Zr1 0.500 0.594 0.812
Zr2 0.500 0.406 0.188


(6)
A relaxed structure of ZrInHg, computed with PBE-GGA.

Values from the calculation:
Its total energy is -3.96 eV per atom. Its calculated formation energy is -0.10 eV per atom. As for the distance to the lowest polymorph of the same formula: 18 meV per atom.

Cell lengths 4.576, 6.869, 13.735 Å; angles 141.39, 90.00, 90.00 degrees
Sites, in units of the cell vectors:
Hg1 0.750 0.090 0.455
Hg2 0.750 0.090 0.955
Hg3 0.250 0.910 0.045
Hg4 0.250 0.910 0.545
In1 0.750 0.417 0.292
In2 0.250 0.583 0.208
In3 0.750 0.417 0.792
In4 0.250 0.583 0.708
Zr1 0.250 0.251 0.875
Zr2 0.250 0.251 0.375
Zr3 0.750 0.749 0.125
Zr4 0.750 0.749 0.625

----------

(1)
~~~
[The text goes on]
I have left the most unusual ECD moves for last. The first few are easy, the last few are a little complicated:
Up a Double & Back. A very easy move. You take your partner's hand & take four steps up (towards the caller/band) & then fall back for four steps. On the third step you rise slightly on your toes and on the fourth step you bring your feet together. It is almost as if there is an accent on the third beat of the four count: 1, 2, 3, 4, and then 5, 6, 7, 8.
== Inserted here: materials data ==
- - -
# 1
CsBaTlO3: optimized geometry, PBE.

Unit cell a=3.9989 b=13.7133 c=11.7389 alpha=90.00 beta=90.00 gamma=90.00
Closest atoms and distances in Å follow each position.
Space group Cmcm (No. 63)
One atom of each set of equivalent atoms:
Cs 0.0000 0.2451 0.2500 (multiplicity 4)  6 O 3.22-3.42
Ba 0.0000 0.5000 0.0000 (multiplicity 4)  4 O 2.68
Tl 0.0000 0.0280 0.7500 (multiplicity 4)  4 O 2.12-2.34
O 0.0000 0.1035 0.5925 (multiplicity 8)  1 Tl 2.12
O 0.0000 0.4391 0.7500 (multiplicity 4)  2 Tl 2.34

- formation energy without anion corrections (eV/atom) = -1.422
- VASP energy (eV per atom) = -4.758

---

# 2
NiAs2: optimized geometry, PBE.

Unit cell a=3.6251 b=13.8682 c=4.4127 alpha=90.00 beta=90.00 gamma=90.00
Closest atoms and distances in Å follow each position.
Space group Cmcm (No. 63)
One atom of each set of equivalent atoms:
Ni 0.0000 0.1565 0.2500 (multiplicity 4)  6 As 2.34-2.46
As 0.0000 0.2232 0.7500 (multiplicity 4)  4 Ni 2.39-2.46
As 0.0000 0.4502 0.7500 (multiplicity 4)  2 Ni 2.34, 2 As 2.60

- E_form (meV per atom) = -117
- N(E_F) (states/eV per atom) = 0.329
- VASP energy (eV per atom) = -5.144

---

# 3
MgFeMo2: optimized geometry, PBE.

Unit cell a=2.8002 b=2.8002 c=27.2583 alpha=90.00 beta=90.00 gamma=120.00
Closest atoms and distances in Å follow each position.
Space group R3m (No. 160, hexagonal axes)
One atom of each set of equivalent atoms:
Mg 0.0000 0.0000 0.0000 (multiplicity 3)  3 Fe 2.76, 6 Mg 2.80, 3 Mo 3.00
Fe 0.0000 0.0000 0.7486 (multiplicity 3)  3 Mo 2.52, 3 Mg 2.76, 6 Fe 2.80
Mo 0.0000 0.0000 0.2408 (multiplicity 3)  9 Mo 2.80-2.89, 3 Mg 3.00
Mo 0.0000 0.0000 0.4862 (multiplicity 3)  3 Fe 2.52, 6 Mo 2.80

- E_form (meV per atom) = 389
- N(E_F) (states/eV per atom) = 0.991
- VASP energy (eV per atom) = -7.541

---

# 4
Cd3In4Ag: optimized geometry, PBE.

Unit cell a=6.5775 b=6.5775 c=6.5775 alpha=90.00 beta=90.00 gamma=90.00
Closest atoms and distances in Å follow each position.
Space group P-43m (No. 215)
One atom of each set of equivalent atoms:
Cd 0.0000 0.0000 0.5000 (multiplicity 3)  4 In 2.90
In 0.2622 0.2622 0.7378 (multiplicity 4)  1 Ag 2.71, 3 Cd 2.90
Ag 0.5000 0.5000 0.5000 (multiplicity 1)  4 In 2.71

- E_form (meV per atom) = 382
- N(E_F) (states/eV per atom) = 0.539
- VASP energy (eV per atom) = -1.687

---

# 5
Tb6Y2In: optimized geometry, PBE.

Unit cell a=17.3658 b=9.4318 c=3.5241 alpha=90.00 beta=90.19 gamma=90.00
Closest atoms and distances in Å follow each position.
Space group C2/m (No. 12)
One atom of each set of equivalent atoms:
Tb 0.0000 0.1982 0.0000 (multiplicity 4)  2 In 3.35, 7 Tb 3.52-3.74, 2 Y 3.64
Tb 0.1628 0.3256 0.4989 (multiplicity 8)  1 In 3.27, 6 Tb 3.29-3.55, 4 Y 3.55-3.65
Y 0.1797 0.0000 0.9983 (multiplicity 4)  2 Y 3.52, 10 Tb 3.55-3.65
In 0.0000 0.5000 0.5000 (multiplicity 2)  8 Tb 3.27-3.35, 2 In 3.52

- E_form (meV per atom) = 25
- N(E_F) (states/eV per atom) = 1.492
- VASP energy (eV per atom) = -4.803
- - -
Lead Out a Double & Back. Like the preceding move but you lead away from the opposite line of people, towards a wall (usually), then turn and lead back.
Fall back and come forward. Like the preceding two, an accented eight count move. Two people, with inside hands joined, move four steps backward, then four steps forward. A nice touch: on the way back the linked arms sweep back a little, making the linked pair lean towards each other, look at each other. On the way forward the linked arms move slightly forward and the gaze is shifted to the pair of people across the way.
Cecil Sharp Siding. An eight count move - four counts over and back. The best way to see the move is to think of a banana: each person walks 4 steps into the other's place on a banana-shaped track, (passing left shoulders). Always keep looking at them, facing them. Never lose eye contact. You then return to your original spot along the exact same track (passing right shoulders). As in the case of the three previous moves, there is a slight lift on beats three & seven. This move has a nice swirl to it and some even call it "Swirl Siding".
Pat Shaw Siding. Again, an eight count move with a slight lift on beats 3 & 7. Go forward a double, right shoulder to right shoulder, to form a single long line of dancers, all the while looking at your opposite. Then you fall back to place. Again forward, this time left shoulder to left shoulder, then fall back.
Half Poussette; Whole Poussette. A push-pull move executed by two couples, one man pushing, one pulling. The aim is to switch places with another couple (1/2 poussette), or to go all the way around another couple & end up back in place (whole poussette). Most often the number one man will take two hands with his partner & push (think of number one as active, pushy), and the number two man (inactive) will take two hands with his partner and pull.
Copyright © 2001
Henry Morgenstein